Entries from January 2007 ↓
January 9th, 2007 — People, Reflexion
Who is Ulrike Haage? A sound Artist, a German pianist and a composer. Over the net I had the chance of sampling her music which I found smooth and soothing to my ears and very relaxing. Selavy wrongly or rightly read :c’est la vie… Ulrike is spending some time in Mysore. Her first few days of Panchakarma must have been uneasy as she had to confine herself to her room.She is much better now as she now has her meals at the dinning hall.Her website www.u-version.com is worth a visit. Poetry in music or Poetry in motion music, would well be another title of her site. Her capacity to transport her audience to a well being dreamland in a repetitive music when one is recalled of the mantra of the main theme without being tired of it is what I enjoyed. Her composition from the piano and keyboard bring in new sounds which confirms her as a true sound artist made in Germany.
Her music reminds me of the emotions aroused in me when listening to M. Boulton, the BBC film music composer in his lesson on psycho-acoustics in his studio in Baath, way back in 1996.
Thank you Ulrike for stretching our potential of sounds to bring through your music therapy a haven of peace. Bravo to the avant-garde music that you are creating and Yes! the Afghans as well as Talibans have also right to peace. Music could be a means to bring them solace.
January 7th, 2007 — People
Chaque personne vit sa propre histoire.Les unes plus intéressantes que les autres, peut être. Les rencontres on en fait, mais là à Mysore, c’est inouï pour moi. Connaissez vous la fondatrice d’une chaîne de télévision Haute définition ? Une chaîne que pour la promotion de l’art ?
Et bien, j’ai eu la chance de partager un repas ayurvédique avec Elizabeth Markevitch, une grande dame battante, éprise par une passion que je souhaite plein de succés dans son entreprise émergente.
Je cite un extrait du Monde sur ikono.tv :
Ikono TV, nouvelle chaîne câblée allemande
consacrée aux arts plastiques
LE MONDE | 23.06.06 | 16h10 • Mis à jour le 23.06.06 | 16h10
la télévision, l’art passe mal. Comment expliquer un tel désamour ? Cette question est à l’origine du projet de chaîne Ikono TV, présenté à la Foire d’art de Bâle (Suisse, du 16 au 18 juin), et qui émettra à partir du 1er juillet via le satellite Astra. La chaîne, disponible également sur le câble allemand, ne montrera que de l’art, en continu et sans commentaire.
Paradoxalement, l’idée en est venue à sa fondatrice, Elizabeth Markévitch, en écoutant la radio. “Je me suis demandé pourquoi la musique était populaire. Autrefois, il était impossible de l’entendre autrement que physiquement, en réunissant un orchestre. Puis sont arrivés les moyens de radiodiffusion, et les plus grands concerts sont venus jusque chez les gens. La télévision peut jouer le même rôle pour les arts plastiques.”
Le principe est simple : des images en haute définition d’oeuvres d’art sur un écran, à la maison. Un système que Bill Gates, dit-on, a installé chez lui, mais qui serait, avec Ikono TV, à la disposition du public.
La chaîne va plus loin en demandant par exemple à des conservateurs de musée d’imaginer leur exposition idéale, qu’ils ne pourraient réaliser en vrai. Il est également possible de reconstituer une exposition qui a fait date ou encore de mettre à la disposition du public les collections, y compris celles conservées dans les réserves des grands musées : le MoMA ou le Guggenheim sont déjà partenaires.
Le renversement de la direction qui pourrait intervenir pour le marche de l’art plastique me semble très intéressant. Jusqu’a l’heure, nous pourrions parler de ‘pull stratégie’ pour l’art, car le marche était réservé qu’aux initiés selects et exclusifs qui étaient à la recherche de sensations dans la contemplation des œuvres. Avec la Télévision telle conçue par ikono.tv nous vivrons bientôt, ‘un push stratégie’ comme les chaînes de radiodiffusion avec un accès grand public jamais connu avant. Tant mieux pour l’art et tant mieux pour la masse de gens qui ont été privés à ce jour des sensations qui leur sont légitimes. Bravo Madame Elizabeth Markevitch !
January 6th, 2007 — Messe, Reflexion
En lisant la lecture du jour de ce matin, je ne puis m’empêcher de penser que l’histoire de Caïn et Abel se renouvelle encore chaque jour. Je suis particulièrement touché et concerné, ayant consacré et écrit un blog dans le passe sur le sujet inspiré par Oded Eldad. Nous vivons encore cette haine, jalousie et violence. Notre éducation ne nous soulage pas de syndrome ? Notre lutte est elle permanente ? Le Mauvais est toujours à l’œuvre.  Redoublons nous d’efforts et soyons vigilant.
Je vous livre le texte de l’épître de St Jean pour réflexion :
1 Jn 3,11-21.
Voici ce que vous avez entendu annoncer depuis le commencement : il faut
nous aimer les uns les autres.
=====
Entry from the Alexandria database: a relaxed structure of Ba2LiCo (PBE).

a = 3.888 Å, b = 3.888 Å, c = 8.943 Å
α = 90.00°, β = 90.00°, γ = 90.12°
Fractional positions:
Ba (0.000, 0.000, 0.204)
Ba (0.000, 0.000, 0.796)
Li (0.500, 0.500, 0.500)
Co (0.500, 0.500, 0.000)

Calculated values
As for the energy above the most stable polymorph in this dataset: 0 meV per atom. The calculation puts the formation energy at 0.34 eV/atom. The calculation puts the spin magnetization at 0.544 μB/f.u.


Entry from the Alexandria database: a relaxed structure of Ba2LiCo (PBE).

a = 4.388 Å, b = 4.388 Å, c = 9.862 Å
α = 99.94°, β = 99.94°, γ = 56.13°
Fractional positions:
Ba (0.228, 0.228, 0.186)
Ba (0.772, 0.772, 0.814)
Li (0.000, 0.000, 0.500)
Co (0.500, 0.500, 0.000)

Calculated values
As for the energy above the most stable polymorph in this dataset: 77 meV per atom. The calculation puts the formation energy at 0.42 eV/atom. The calculation puts the spin magnetization at 0.458 μB/f.u.


Entry from the Alexandria database: a relaxed structure of Ba2LiCo (PBE).

a = 8.340 Å, b = 8.340 Å, c = 8.340 Å
α = 94.98°, β = 94.98°, γ = 145.74°
Fractional positions:
Ba (0.375, 0.190, 0.315)
Ba (0.810, 0.125, 0.185)
Ba (0.875, 0.060, 0.685)
Ba (0.940, 0.625, 0.815)
Li (0.250, 0.750, 0.500)
Li (0.500, 0.500, 0.000)
Co (0.000, 0.000, 0.000)
Co (0.750, 0.250, 0.500)

Calculated values
As for the energy above the most stable polymorph in this dataset: 64 meV per atom. The calculation puts the formation energy at 0.41 eV/atom. The calculation puts the spin magnetization at 0.000 μB/f.u.


Entry from the Alexandria database: a relaxed structure of Ba2LiCo (PBE).

a = 6.506 Å, b = 6.506 Å, c = 6.506 Å
α = 136.25°, β = 136.25°, γ = 63.59°
Fractional positions:
Ba (0.000, 0.000, 0.000)
Ba (0.750, 0.250, 0.500)
Li (0.500, 0.500, 0.000)
Co (0.250, 0.750, 0.500)

Calculated values
As for the energy above the most stable polymorph in this dataset: 202 meV per atom. The calculation puts the formation energy at 0.55 eV/atom. The calculation puts the spin magnetization at 0.810 μB/f.u.


Entry from the Alexandria database: a relaxed structure of Ba2LiCo (PBE).

a = 7.188 Å, b = 7.188 Å, c = 7.188 Å
α = 149.36°, β = 135.09°, γ = 55.35°
Fractional positions:
Ba (0.000, 0.000, 0.000)
Ba (0.696, 0.196, 0.500)
Li (0.354, 0.354, 0.000)
Co (0.202, 0.702, 0.500)

Calculated values
As for the energy above the most stable polymorph in this dataset: 67 meV per atom. The calculation puts the formation energy at 0.41 eV/atom. The calculation puts the spin magnetization at 0.458 μB/f.u.


Entry from the Alexandria database: a relaxed structure of Ba4LiCo (PBE).

a = 7.406 Å, b = 7.406 Å, c = 7.406 Å
α = 60.00°, β = 60.00°, γ = 60.00°
Fractional positions:
Ba (0.124, 0.124, 0.124)
Ba (0.124, 0.124, 0.628)
Ba (0.124, 0.628, 0.124)
Ba (0.628, 0.124, 0.124)
Li (0.500, 0.500, 0.500)
Co (0.750, 0.750, 0.750)

Calculated values
=====
The records of crystals stop here
Ne soyons pas comme Caïn : il appartenait au Mauvais et il égorgea son
frère. Et pourquoi l’a-t-il égorgé ? Parce que ses oeuvres étaient
mauvaises : au contraire, celles de son frère étaient justes.
Ne soyez pas étonnés, frères, si le monde a de la haine contre vous.
Parce que nous aimons nos frères, nous savons que nous sommes passés de la
mort à la vie. Celui qui n’aime pas reste dans la mort.
Tout homme qui a de la haine contre son frère est un meurtrier, et vous
savez qu’un meurtrier n’a jamais la vie éternelle demeurant en lui.
Voici à quoi nous avons reconnu l’amour : lui, Jésus, a donné sa vie pour
nous. Nous aussi, nous devons donner notre vie pour nos frères.
Celui qui a de quoi vivre en ce monde, s’il voit son frère dans le besoin
sans se laisser attendrir, comment l’amour de Dieu pourrait-il demeurer en
lui ?
Mes enfants, nous devons aimer, non pas avec des paroles et des discours,
mais par des actes et en vérité.
En agissant ainsi, nous reconnaîtrons que nous appartenons à la vérité, et
devant Dieu nous aurons le coeur en paix ;
notre coeur aurait beau nous accuser, Dieu est plus grand que notre coeur,
et il connaît toutes choses.
Mes bien-aimés, si notre coeur ne nous accuse pas, nous nous tenons avec
assurance devant Dieu.
Ma prière ce matin est une supplication au Seigneur pour plus amour dans nos cœurs, mon coeur.Que je regarde ceux qui m’ont fait du tort avec compassion et amour, en vers et contre tout parce qu’ils sont mes frères enfants de Dieu. C’est peut être l’acte de vérité que le Seigneur Dieu me demande.
Et quid des frères qui sont dans le besoin ?
January 5th, 2007 — Entrepreneurship
There was a time when more educated Indians were turning to migration as the way to ensure their future.This was the case of Siraj Dhanani. In the early 90’s after brilliant studies, he made his way to the United States to pursuit his career. Today, he is one of the many who returned to mother India. Happy to live now home and to do business tapping the opportunity to service the world from India. Having worked as a pharmacist and gathered knowledge about the industry, now, with the abundant number of highly qualified scholars (over 200) in the Bangalore region his multi million dollars company is exploiting the niche of providing consultancy and intelligence to the world’s Pharmaceutical companies. The Indian brains are cheaper and at least equivalent in competency to their fellow overseas counter part and with technology,they are able to operate as if they are only,a telephone away!
What is the competitive advantage of having an outsource in India ?
“We offer our high-quality services at a significant discount to other consultants. This cost-differential is achieved by basing our execution team in India, and taking advantage of India’s low-cost and high quality work force. This advantage also allows us to over-resource on projects, thereby exceeding quality standards while retaining the cost-advantage for our clients.”
Siraj, definitely a smart entrepreneur, came to IVAC for a short holiday during the new year’s break days to benefit from a body detox. A sound mind in a sound body!I was happy then to have met him and exchanged with him.
May I wish Siraj and PharmARC Analytic Solutions growth and success in the coming years.
January 4th, 2007 — books, Reflexion
I have for quite a number of years( may be 10 years) signed off my emails by the words BE HAPPY.You may be wondering whether you are yourself Happy? If you are, then good for you. If you were not then,How do you become Happy? Just BE HAPPY! I would like to share with you an article from the mystic Anthony de Mello which might enlighten you early in this year and get you to be on the road to your happiness as from now.
The Most Important Minutes In Your Lives
Anthony de Mello, SJ
What I’m about to say will sound a bit pompous, but it’s true. What is coming could be the most important minutes in your lives. If you could grasp this, you’d hit upon the secret of awakening. You would be happy forever. You would never be unhappy again. Nothing would have the power to hurt you again. I mean that, nothing. It’s like when you throw black paint in the air, the air remains uncontaminated. You never color the air black. No matter what happens to you, you remain uncontaminated. You remain at peace. There are human beings who have attained this, what I call being human. Not this nonsense of being a puppet, jerked about this way and that way, letting events or other people tell you how to feel. So you proceed to feel it and you call it being vulnerable. Ha! I call it being a puppet. So you want to be a puppet? Press a button and you’re down; do you like that? But if you refuse to identify with any of those labels, most of your worries cease.
Later we’ll talk about fear of disease and death, but ordinarily you’re worried about what’s going to happen to your career. A small-time businessman, fifty-five years old, is sipping beer at a bar somewhere and he’s saying, “Well, look at my classmates, they’ve really made it.” The idiot! What does he mean, “They made it”? They’ve got their names in the newspaper. Do you call that making it? One is president of the corporation; the other has become the Chief Justice; somebody else has become this or that. Monkeys, all of them.
Who determines what it means to be a success? This stupid society! The main preoccupation of society is to keep society sick! And the sooner you realize that, the better. Sick, every one of them. They are loony, they’re crazy. You became president of the lunatic asylum and you’re proud of it even though it means nothing. Being president of a corporation has nothing to do with being a success in life. Having a lot of money has nothing to do with being a success in life. You’re a success in life when you wake up! Then you don’t have to apologize to anyone, you don’t have to explain anything to anyone, you don’t give a damn what anybody thinks about you or what anybody says about you. You have no worries; you’re happy. That’s what I call being a success. Having a good job or being famous or having a great reputation has absolutely nothing to do with happiness or success. Nothing! It is totally irrelevant. All he’s really worried about is what his children will think about him, what the neighbors will think about him, what his wife will think about him. He should have become famous. Our society and culture drill that into our heads day and night. People who made it! Made what?! Made asses of themselves. Because they drained all their energy getting something that was worthless. They’re frightened and confused, they are puppets like the rest. Look at them strutting across the stage. Look how upset they get if they have a stain on their shirt. Do you call that a success? Look at how frightened they are at the prospect they might not be reelected. Do you call that a success? They are controlled, so manipulated. They are unhappy people, they are miserable people. They don’t enjoy life. They are constantly tense and anxious. Do you call that human? And do you know why that happens? Only one reason: They identified with some label. They identified the “I” with their money or their job or their profession. That was their error.
Did you hear about the lawyer who was presented with a plumber’s bill? He said to the plumber, “Hey, you’re charging me two hundred dollars an hour. I don’t make that kind of money as a lawyer.” The plumber said, “I didn’t make that kind of money when I was a lawyer either!” You could be a plumber or a lawyer or a business man or a priest, but that does not affect the essential “I.” It doesn’t affect you. If I change my profession tomorrow, it’s just like changing my clothes. I am untouched. Are you your clothes? Are you your name? Are you your profession? Stop identifying with them. They come and go.
When you really understand this, no criticism can affect you. No flattery or praise can affect you either. When someone says, “You’re a great guy,” what is he talking about? He’s talking about “me,” he’s not talking about “I.” “I” is neither great nor small. “I” is neither successful nor a failure. It is none of these labels. These things come and go. These things depend on the criteria society establishes. These things depend on your conditioning. These things depend on the mood of the person who happens to be talking to you right now. It has nothing to do with “I.” “I” is none of these labels. “Me” is generally selfish, foolish, childish — a great big ass. So when you say, “You’re an ass,” I’ve known it for years! The conditioned self — what did you expect? I’ve known it for years. Why do you identify with him? Silly! That isn’t “I,” that’s “me.”
Do you want to be happy? Uninterrupted happiness is uncaused. True happiness is uncaused. You cannot make me happy. You are not my happiness. You say to the awakened person, “Why are you happy?” and the awakened person replies, “Why not?”
Happiness is our natural state. Happiness is the natural state of little children, to whom the kingdom belongs until they have been polluted and contaminated by the stupidity of society and culture. To acquire happiness you don’t have to do anything, because happiness cannot be acquired. Does anybody know why? Because we have it already. How can you acquire what you already have? Then why don’t you experience it? Because you’ve got to drop something. You’ve got to drop illusions. You don’t have to add anything in order to be happy; you’ve got to drop something. Life is easy, life is delightful. It’s only hard on your illusions, your ambitions, your greed, your cravings. Do you know where these things come from? From having identified with all kinds of labels!
January 3rd, 2007 — books, Reflexion
I was again blessed to receive the visit of Fr. Micheal who brought to me yesterday, communion, our Lord’s gift to mankind. Thereafter,we had an interesting talk when we shared our thoughts and life paths.Then he presented to me the book of Anthony de Mello S.J. : The Song of the Bird which was first published in 1982 in India. Looking at the condition of the book tendered to me I could imagine to the number of hands this copy has been through and imagine the benefits the contents would have been drawn by the readers.Do I become some what mystical if I dare say ” I could feel the vibrations oozing to and from this apparently inert lump of stacked paper and dried printed ink each time it was read?” Yes, to see beyond the physical present state!De Mello is in eternity now, in the timeless,he passed away in 1987 and yet he is still communicating to us through his gospel, his writings….
In first inside cover page reads:
I imagine that today is the last day of my life.I ask for writing materials and compose for my friends and loved ones a sort of testament,a gospel of my life. The points that follow are possible titles to the chapters of that Gospel:
These things I have loved in life… Things I tasted….and looked at…and smelt…and heard…and touched…
The experiences I have cherished…
These ideas have liberated me…
These beliefs that I have outgrown…
These convictions I have lived by…
These things I have lived for…
These insights I have arrived at in the course of my life: insights into God,Christ,the world,human nature,love, prayer,religion…
The risks I have taken…
These sufferings have seasoned me….
These lessons have taught me…
These influences(persons,events,occupations,books,…)have shaped my life….
These scripture passages have lit my path…
These things I regret about my life…
These are my life’s achievement….
These persons are enshrined in my heart…
These are my unfulfilled desires….
The song of the bird is a book of short and numerous stories to be read and reread, to be reflected on,and perhaps discussed in small group to share the insights with each other….
The author Anthony de Mello wishes to create a silence within the reader and to let the story reveal its inner depth and meaning. A meaning beyond words and reflections,gradually giving a feel for the mystical.
So well and poetically said by the author:’allow the fragrance or its melody to haunt you”.
“Why does the bird sing?” said the Master.
A bird does not sing because he has a statement. He sings because he has a song.
The word of the scholar are to be understood. The words of the master are not to be understood.They are to be listened to as one listens to the wind in the trees and the sound of the river and the song of the bird.They will awaken something within the heart that is beyond knowledge.
My very good friend Andre would have loved to read more of Anthony de Mello!
January 2nd, 2007 — Ayurveda, People


I can only have wonderful souvenirs of the interesting conversations at the lunch & diners with the Lee Family, who bid me farewell at lunch time today.They are on the way back to Singapore and will be catching a flight from Bangalore late in the night. Mrs Penny Lee decided to have their last diner Indian meal this time at yet another Ayurveda center, SOUKYA near Bangalore.I had earlier understood that Mr. Lee after these ten days of strict vegetarian regime he was looking forward to a good hearty non vegetarian meal once out of the center.In these circumstances, the stronger sex has always the last word!
The Lees are half retired. Mr. Lee was an accountant before, now converted to his wife passion and work: Pottery. They create artistic pottery and have every 2 years a sales exhibitions. The rest of the time they spend traveling overseas. Penny just loves India and visits very often.She is right now preparing another trip to trek in the Himalayas.Yes this kind of expedition requires prior training both in terms of physical fitness and mental strength.
Thank you Mr & Mrs Lee. You have lightened the burden of my confinement. Hope to see you some other time.
 
January 1st, 2007 — Ayurveda, Reflexion
I had a very quiet night lat night. They proposed a Indian violin concert from 6 to 7 pm just before dinner.All residents went for their meal thereafter. They were allowed dessert in spite of the strict regime being imposed on those who are being treated under Panchakarma. Life carried on as usual in the stillness of the place.We could hear from afar the muffled sounds of celebrations and could see all so often a glow from the fire crackers.
Records of crystals from another source follow =
____________
Computed, not measured: a relaxed Tb2Tm3Se6 crystal at the PBE level of DFT.

## Properties
The magnetic moment comes out at 0.000 μB per formula unit. The value obtained for the formation energy (no corrections) is -1951 kJ/mol of formula units.

Unit cell a=6.9731 b=6.9731 c=6.9895 alpha=99.63 beta=99.63 gamma=119.74
Last column: nearest neighbours and their distance in Å.
Fractional coordinates of all 11 atoms:
Tb 0.1648 0.8352 0.0000  6 Se 2.86-2.89
Tb 0.8352 0.1648 0.0000  6 Se 2.86-2.89
Tm 0.0000 0.0000 0.5000  6 Se 2.82-2.90
Tm 0.3339 0.6661 0.5000  6 Se 2.82-2.88
Tm 0.6661 0.3339 0.5000  6 Se 2.82-2.88
Se 0.0883 0.4160 0.7469  3 Tm 2.82-2.88, 2 Tb 2.89
Se 0.2577 0.2577 0.2504  3 Tm 2.82-2.90, 2 Tb 2.86
Se 0.4160 0.0883 0.7469  3 Tm 2.82-2.88, 2 Tb 2.89
Se 0.5840 0.9117 0.2531  3 Tm 2.82-2.88, 2 Tb 2.89
Se 0.7423 0.7423 0.7496  3 Tm 2.82-2.90, 2 Tb 2.86
Se 0.9117 0.5840 0.2531  3 Tm 2.82-2.88, 2 Tb 2.89


(1)
Li3HoMg6: optimized geometry, PBE.

Lattice parameters (Å, degrees): 9.1021 4.8418 10.2300 90.00 98.13 90.00
With the nearest neighbours (Å) after each atom.
Space group P2_1/m (No. 11)
Asymmetric unit:
Li (0.0518, 0.2500, 0.3964) (multiplicity 2)  8 Mg 2.92-3.01
Li (0.1566, 0.7500, 0.1828) (multiplicity 2)  8 Mg 2.90-3.01
Li (0.2465, 0.2500, 0.9700) (multiplicity 2)  10 Mg 2.91-3.24
Ho (0.4430, 0.2500, 0.5975) (multiplicity 2)  10 Mg 3.25-3.34, 2 Ho 3.39
Mg (0.0299, 0.7500, 0.8988) (multiplicity 2)  7 Li 2.97-3.14, 3 Mg 3.15-3.28
Mg (0.1152, 0.2500, 0.6935) (multiplicity 2)  5 Li 2.91-3.01, 2 Mg 3.19
Mg (0.2209, 0.7500, 0.4753) (multiplicity 2)  4 Li 2.92-2.97, 1 Mg 3.19, 1 Ho 3.25
Mg (0.3285, 0.2500, 0.2747) (multiplicity 2)  4 Li 2.96-3.10, 1 Mg 3.21
Mg (0.3345, 0.7500, 0.7853) (multiplicity 2)  8 Mg 3.10-3.31, 2 Li 3.24, 2 Ho 3.33
Mg (0.4416, 0.7500, 0.0869) (multiplicity 2)  4 Li 2.90-3.14, 1 Mg 3.10

Calculated values
E_form = -4.1 kJ/mol of atoms
DOS at the Fermi energy = 0.4836 states/eV/atom
M_tot = 0.0 Bohr magnetons per cell

(2)
Ti2V2H: optimized geometry, PBE.

Lattice parameters (Å, degrees): 3.3550 3.3550 13.2968 90.00 90.00 90.00
With the nearest neighbours (Å) after each atom.
Space group I4/mmm (No. 139)
Asymmetric unit:
Ti (0.0000, 0.5000, 0.2500) (multiplicity 4)  4 Ti 2.37
V (0.0000, 0.0000, 0.0720) (multiplicity 4)  1 V 1.92
H (0.0000, 0.0000, 0.5000) (multiplicity 2)  8 V 2.56

Calculated values
DOS at the Fermi energy = 1.3987 states/eV/atom
ΔE to the lowest computed polymorph = 76.5 kJ/mol of atoms
M_tot = 1.6 Bohr magnetons per cell

(3)
Mg2ZnRh: optimized geometry, PBE.

Lattice parameters (Å, degrees): 5.3109 4.4750 5.5137 90.00 97.17 90.00
With the nearest neighbours (Å) after each atom.
Space group Pm (No. 6)
Asymmetric unit:
Mg (0.0000, 0.0000, 0.0000) (multiplicity 1)  4 Rh 2.74-2.79, 4 Mg 2.78-3.06, 3 Zn 2.86-2.95
Mg (0.2256, 0.5000, 0.4165) (multiplicity 1)  3 Zn 2.63-2.92, 4 Rh 2.71-2.81, 2 Mg 2.94
Mg (0.5000, 0.0000, 0.2238) (multiplicity 1)  4 Zn 2.64-2.78, 3 Rh 2.72-2.92, 3 Mg 2.78-2.94
____________
End of the records of crystals =
This was my New Year’s eve in Mysore.
Happy New Year to all of you